Input >
-- begin --
Sr4Cu3ClO6 | PBE | relaxed

Formation enthalpy at 0 K: -2.031 eV per atom

Unit cell a=6.671 b=6.671 c=6.671 alpha=109.47 beta=109.47 gamma=109.47
Sites, in units of the cell vectors:
O: 0.750 0.250 0.500
O: 0.750 0.500 0.250
Cl: 0.000 0.000 0.000
O: 0.250 0.500 0.750
Sr: 0.000 0.500 0.000
Cu: 0.500 0.000 0.500
Sr: 0.500 0.500 0.500
Cu: 0.000 0.500 0.500
O: 0.500 0.750 0.250
O: 0.500 0.250 0.750
Sr: 0.500 0.000 0.000
O: 0.250 0.750 0.500
Cu: 0.500 0.500 0.000
Sr: 0.000 0.000 0.500


SrCu2Te2Cl2O6 | PBE | relaxed

Formation enthalpy at 0 K: -1.555 eV per atom

Unit cell a=7.374 b=7.303 c=8.384 alpha=83.27 beta=90.00 gamma=90.00
Sites, in units of the cell vectors:
O: 0.131 0.371 0.124
Te: 0.321 0.149 0.267
O: 0.347 0.692 0.115
O: 0.583 0.962 0.743
Cl: 0.728 0.953 0.116
O: 0.083 0.038 0.257
O: 0.294 0.298 0.442
O: 0.794 0.702 0.558
O: 0.579 0.359 0.658
Cl: 0.704 0.399 0.268
O: 0.631 0.629 0.876
O: 0.847 0.308 0.885
O: 0.402 0.962 0.435
Cu: 0.944 0.181 0.085
Sr: 0.954 0.374 0.560
Cu: 0.444 0.819 0.915
Te: 0.821 0.851 0.733
Cl: 0.228 0.047 0.884
Te: 0.596 0.369 0.885
Cu: 0.962 0.861 0.413
Cu: 0.462 0.139 0.587
Sr: 0.454 0.626 0.440
O: 0.079 0.641 0.342
O: 0.902 0.038 0.565
Te: 0.096 0.631 0.115
Cl: 0.204 0.601 0.732


YCu6ClO8 | PBE | relaxed

Formation enthalpy at 0 K: -1.431 eV per atom

Unit cell a=6.571 b=6.571 c=6.571 alpha=60.00 beta=60.00 gamma=60.00
Sites, in units of the cell vectors:
O: 0.856 0.433 0.856
Cl: 0.500 0.500 0.500
Cu: 0.500 0.000 0.500
O: 0.856 0.856 0.433
O: 0.144 0.567 0.144
O: 0.433 0.856 0.856
O: 0.144 0.144 0.144
Cu: 0.000 0.500 0.500
O: 0.567 0.144 0.144
Cu: 0.000 0.000 0.500
Cu: 0.500 0.000 0.000
Cu: 0.500 0.500 0.000
Cu: 0.000 0.500 0.000
O: 0.144 0.144 0.567
Y: 0.000 0.000 0.000
O: 0.856 0.856 0.856


ZnCu3Cl2O6 | PBE | relaxed

Formation enthalpy at 0 K: -0.648 eV per atom

Unit cell a=6.155 b=6.155 c=5.240 alpha=90.00 beta=90.00 gamma=120.00
Sites, in units of the cell vectors:
O: 0.368 0.184 0.149
O: 0.816 0.632 0.149
-- stop --
To do >
Next, retype the whole of the block further up unchanged.
Reply >
Sr4Cu3ClO6 | PBE | relaxed

Formation enthalpy at 0 K: -2.031 eV per atom

Unit cell a=6.671 b=6.671 c=6.671 alpha=109.47 beta=109.47 gamma=109.47
Sites, in units of the cell vectors:
O: 0.750 0.250 0.500
O: 0.750 0.500 0.250
Cl: 0.000 0.000 0.000
O: 0.250 0.500 0.750
Sr: 0.000 0.500 0.000
Cu: 0.500 0.000 0.500
Sr: 0.500 0.500 0.500
Cu: 0.000 0.500 0.500
O: 0.500 0.750 0.250
O: 0.500 0.250 0.750
Sr: 0.500 0.000 0.000
O: 0.250 0.750 0.500
Cu: 0.500 0.500 0.000
Sr: 0.000 0.000 0.500


SrCu2Te2Cl2O6 | PBE | relaxed

Formation enthalpy at 0 K: -1.555 eV per atom

Unit cell a=7.374 b=7.303 c=8.384 alpha=83.27 beta=90.00 gamma=90.00
Sites, in units of the cell vectors:
O: 0.131 0.371 0.124
Te: 0.321 0.149 0.267
O: 0.347 0.692 0.115
O: 0.583 0.962 0.743
Cl: 0.728 0.953 0.116
O: 0.083 0.038 0.257
O: 0.294 0.298 0.442
O: 0.794 0.702 0.558
O: 0.579 0.359 0.658
Cl: 0.704 0.399 0.268
O: 0.631 0.629 0.876
O: 0.847 0.308 0.885
O: 0.402 0.962 0.435
Cu: 0.944 0.181 0.085
Sr: 0.954 0.374 0.560
Cu: 0.444 0.819 0.915
Te: 0.821 0.851 0.733
Cl: 0.228 0.047 0.884
Te: 0.596 0.369 0.885
Cu: 0.962 0.861 0.413
Cu: 0.462 0.139 0.587
Sr: 0.454 0.626 0.440
O: 0.079 0.641 0.342
O: 0.902 0.038 0.565
Te: 0.096 0.631 0.115
Cl: 0.204 0.601 0.732


YCu6ClO8 | PBE | relaxed

Formation enthalpy at 0 K: -1.431 eV per atom

Unit cell a=6.571 b=6.571 c=6.571 alpha=60.00 beta=60.00 gamma=60.00
Sites, in units of the cell vectors:
O: 0.856 0.433 0.856
Cl: 0.500 0.500 0.500
Cu: 0.500 0.000 0.500
O: 0.856 0.856 0.433
O: 0.144 0.567 0.144
O: 0.433 0.856 0.856
O: 0.144 0.144 0.144
Cu: 0.000 0.500 0.500
O: 0.567 0.144 0.144
Cu: 0.000 0.000 0.500
Cu: 0.500 0.000 0.000
Cu: 0.500 0.500 0.000
Cu: 0.000 0.500 0.000
O: 0.144 0.144 0.567
Y: 0.000 0.000 0.000
O: 0.856 0.856 0.856


ZnCu3Cl2O6 | PBE | relaxed

Formation enthalpy at 0 K: -0.648 eV per atom

Unit cell a=6.155 b=6.155 c=5.240 alpha=90.00 beta=90.00 gamma=120.00
Sites, in units of the cell vectors:
O: 0.368 0.184 0.149
O: 0.816 0.632 0.149